[Exercise]
Retype everything further down character by character, please.
[Entries]
........
1.
Diffraction record for Pm3Y4Te8. The powder diffraction line list is computed, not measured: it uses a crystal structure in Alexandria, relaxed with PBE and Cu Kα (λ = 1.5418 Å).

Cell and atoms:
abc: 8.7952 8.7952 8.7908
angles: 119.95 119.95 90.03
Fractional positions:
Pm  0.0000  0.0000  0.0000
Pm  0.0000  0.5000  0.0000
Pm  0.5000  0.0000  0.0000
Y  0.0000  0.5000  0.5000
Y  0.5000  0.0000  0.5000
Y  0.5000  0.5000  0.0000
Y  0.5000  0.5000  0.5000
Te  0.2466  0.7534  0.5000
Te  0.2491  0.2491  0.5054
Te  0.2495  0.2495  0.9936
Te  0.2527  0.7473  0.0000
Te  0.7473  0.2527  0.0000
Te  0.7505  0.7505  0.0064
Te  0.7509  0.7509  0.4946
Te  0.7534  0.2466  0.5000

Peak list (10 most intense, 2θ = 10–80°, in order of rising 2θ)
2θ (°)	I/Imax
14.23	5
20.19	4
28.70	100
41.04	75
50.85	27
59.43	12
67.31	31
67.38	3
74.75	21
74.83	4

---

2.
Diffraction record for Ac6ZnIn. The powder diffraction line list is computed, not measured: it uses a crystal structure in Alexandria, relaxed with PBE and Cu Kα (λ = 1.5418 Å).

Cell and atoms:
abc: 5.6880 5.6880 19.2241
angles: 90.00 90.00 90.00
Fractional positions:
Ac  0.0000  0.0000  0.2487
Ac  0.0000  0.0000  0.7513
Ac  0.0000  0.5000  0.1039
Ac  0.0000  0.5000  0.3961
Ac  0.0000  0.5000  0.6039
Ac  0.0000  0.5000  0.8961
Ac  0.5000  0.0000  0.1039
Ac  0.5000  0.0000  0.3961
Ac  0.5000  0.0000  0.6039
Ac  0.5000  0.0000  0.8961
Ac  0.5000  0.5000  0.2513
Ac  0.5000  0.5000  0.7487
Zn  0.0000  0.0000  0.5000
Zn  0.5000  0.5000  0.0000
In  0.0000  0.0000  0.0000
In  0.5000  0.5000  0.5000

Peak list (10 most intense, 2θ = 10–80°, in order of rising 2θ)
2θ (°)	I/Imax
23.98	19
27.85	11
28.95	100
31.46	48
42.50	15
45.08	18
49.67	13
52.78	13
54.47	35
71.88	10

---

3.
Diffraction record for Tm2Th2Rh15. The powder diffraction line list is computed, not measured: it uses a crystal structure in Alexandria, relaxed with PBE and Cu Kα (λ = 1.5418 Å).

Cell and atoms:
abc: 6.9417 6.9417 6.9417
angles: 81.75 81.75 81.75
Fractional positions:
Tm  0.1065  0.1065  0.1065
Tm  0.8935  0.8935  0.8935
Th  0.3570  0.3570  0.3570
Th  0.6430  0.6430  0.6430
Rh  0.0000  0.0000  0.5000
Rh  0.0000  0.3111  0.6889
Rh  0.0000  0.5000  0.0000
Rh  0.0000  0.6889  0.3111
Rh  0.1613  0.6518  0.6518
Rh  0.3111  0.0000  0.6889
Rh  0.3111  0.6889  0.0000
Rh  0.3482  0.3482  0.8387
Rh  0.3482  0.8387  0.3482
Rh  0.5000  0.0000  0.0000
Rh  0.6518  0.1613  0.6518
Rh  0.6518  0.6518  0.1613
Rh  0.6889  0.0000  0.3111
Rh  0.6889  0.3111  0.0000
Rh  0.8387  0.3482  0.3482

Peak list (10 most intense, 2θ = 10–80°, in order of rising 2θ)
2θ (°)	I/Imax
28.53	15
34.19	30
34.82	23
39.67	100
40.24	23
44.59	31
57.35	7
57.79	7
64.90	11
71.99	25

---

4.
Diffraction record for LaCeHo3. The powder diffraction line list is computed, not measured: it uses a crystal structure in Alexandria, relaxed with PBE and Cu Kα (λ = 1.5418 Å).

Cell and atoms:
abc: 6.1609 6.1609 10.8081
angles: 90.02 90.02 129.02
Fractional positions:
La  0.1570  0.8430  0.0000
La  0.8430  0.1570  0.0000
Ce  0.3786  0.6214  0.5000
Ce  0.6214  0.3786  0.5000
Ho  0.1514  0.8481  0.3157
Ho  0.1519  0.8486  0.6843
Ho  0.4997  0.4997  0.1771
Ho  0.5003  0.5003  0.8229
Ho  0.8481  0.1514  0.3157
Ho  0.8486  0.1519  0.6843

Peak list (10 most intense, 2θ = 10–80°, in order of rising 2θ)
2θ (°)	I/Imax
29.40	59
29.54	22
31.07	100
33.82	66
38.77	27
45.50	14
47.39	12
58.78	16
62.31	12
66.71	17

---

5.
Diffraction record for Tb7Y2Ho. The powder diffraction line list is computed, not measured: it uses a crystal structure in Alexandria, relaxed with PBE and Cu Kα (λ = 1.5418 Å).

Cell and atoms:
abc: 6.1629 6.1712 9.4074
angles: 102.60 109.03 99.56
Fractional positions:
Tb  0.0000  0.0000  0.0000
Tb  0.1994  0.0000  0.4000
Tb  0.1990  0.4990  0.8998
Tb  0.3996  0.5000  0.3007
Tb  0.6004  0.5000  0.6993
Tb  0.8006  0.0000  0.6000
Tb  0.8010  0.5010  0.1002
Y  0.4001  0.9998  0.7994
Y  0.5999  0.0002  0.2006
Ho  0.0000  0.5000  0.5000
........
[Outcome]
1.
Diffraction record for Pm3Y4Te8. The powder diffraction line list is computed, not measured: it uses a crystal structure in Alexandria, relaxed with PBE and Cu Kα (λ = 1.5418 Å).

Cell and atoms:
abc: 8.7952 8.7952 8.7908
angles: 119.95 119.95 90.03
Fractional positions:
Pm  0.0000  0.0000  0.0000
Pm  0.0000  0.5000  0.0000
Pm  0.5000  0.0000  0.0000
Y  0.0000  0.5000  0.5000
Y  0.5000  0.0000  0.5000
Y  0.5000  0.5000  0.0000
Y  0.5000  0.5000  0.5000
Te  0.2466  0.7534  0.5000
Te  0.2491  0.2491  0.5054
Te  0.2495  0.2495  0.9936
Te  0.2527  0.7473  0.0000
Te  0.7473  0.2527  0.0000
Te  0.7505  0.7505  0.0064
Te  0.7509  0.7509  0.4946
Te  0.7534  0.2466  0.5000

Peak list (10 most intense, 2θ = 10–80°, in order of rising 2θ)
2θ (°)	I/Imax
14.23	5
20.19	4
28.70	100
41.04	75
50.85	27
59.43	12
67.31	31
67.38	3
74.75	21
74.83	4

---

2.
Diffraction record for Ac6ZnIn. The powder diffraction line list is computed, not measured: it uses a crystal structure in Alexandria, relaxed with PBE and Cu Kα (λ = 1.5418 Å).

Cell and atoms:
abc: 5.6880 5.6880 19.2241
angles: 90.00 90.00 90.00
Fractional positions:
Ac  0.0000  0.0000  0.2487
Ac  0.0000  0.0000  0.7513
Ac  0.0000  0.5000  0.1039
Ac  0.0000  0.5000  0.3961
Ac  0.0000  0.5000  0.6039
Ac  0.0000  0.5000  0.8961
Ac  0.5000  0.0000  0.1039
Ac  0.5000  0.0000  0.3961
Ac  0.5000  0.0000  0.6039
Ac  0.5000  0.0000  0.8961
Ac  0.5000  0.5000  0.2513
Ac  0.5000  0.5000  0.7487
Zn  0.0000  0.0000  0.5000
Zn  0.5000  0.5000  0.0000
In  0.0000  0.0000  0.0000
In  0.5000  0.5000  0.5000

Peak list (10 most intense, 2θ = 10–80°, in order of rising 2θ)
2θ (°)	I/Imax
23.98	19
27.85	11
28.95	100
31.46	48
42.50	15
45.08	18
49.67	13
52.78	13
54.47	35
71.88	10

---

3.
Diffraction record for Tm2Th2Rh15. The powder diffraction line list is computed, not measured: it uses a crystal structure in Alexandria, relaxed with PBE and Cu Kα (λ = 1.5418 Å).

Cell and atoms:
abc: 6.9417 6.9417 6.9417
angles: 81.75 81.75 81.75
Fractional positions:
Tm  0.1065  0.1065  0.1065
Tm  0.8935  0.8935  0.8935
Th  0.3570  0.3570  0.3570
Th  0.6430  0.6430  0.6430
Rh  0.0000  0.0000  0.5000
Rh  0.0000  0.3111  0.6889
Rh  0.0000  0.5000  0.0000
Rh  0.0000  0.6889  0.3111
Rh  0.1613  0.6518  0.6518
Rh  0.3111  0.0000  0.6889
Rh  0.3111  0.6889  0.0000
Rh  0.3482  0.3482  0.8387
Rh  0.3482  0.8387  0.3482
Rh  0.5000  0.0000  0.0000
Rh  0.6518  0.1613  0.6518
Rh  0.6518  0.6518  0.1613
Rh  0.6889  0.0000  0.3111
Rh  0.6889  0.3111  0.0000
Rh  0.8387  0.3482  0.3482

Peak list (10 most intense, 2θ = 10–80°, in order of rising 2θ)
2θ (°)	I/Imax
28.53	15
34.19	30
34.82	23
39.67	100
40.24	23
44.59	31
57.35	7
57.79	7
64.90	11
71.99	25

---

4.
Diffraction record for LaCeHo3. The powder diffraction line list is computed, not measured: it uses a crystal structure in Alexandria, relaxed with PBE and Cu Kα (λ = 1.5418 Å).

Cell and atoms:
abc: 6.1609 6.1609 10.8081
angles: 90.02 90.02 129.02
Fractional positions:
La  0.1570  0.8430  0.0000
La  0.8430  0.1570  0.0000
Ce  0.3786  0.6214  0.5000
Ce  0.6214  0.3786  0.5000
Ho  0.1514  0.8481  0.3157
Ho  0.1519  0.8486  0.6843
Ho  0.4997  0.4997  0.1771
Ho  0.5003  0.5003  0.8229
Ho  0.8481  0.1514  0.3157
Ho  0.8486  0.1519  0.6843

Peak list (10 most intense, 2θ = 10–80°, in order of rising 2θ)
2θ (°)	I/Imax
29.40	59
29.54	22
31.07	100
33.82	66
38.77	27
45.50	14
47.39	12
58.78	16
62.31	12
66.71	17

---

5.
Diffraction record for Tb7Y2Ho. The powder diffraction line list is computed, not measured: it uses a crystal structure in Alexandria, relaxed with PBE and Cu Kα (λ = 1.5418 Å).

Cell and atoms:
abc: 6.1629 6.1712 9.4074
angles: 102.60 109.03 99.56
Fractional positions:
Tb  0.0000  0.0000  0.0000
Tb  0.1994  0.0000  0.4000
Tb  0.1990  0.4990  0.8998
Tb  0.3996  0.5000  0.3007
Tb  0.6004  0.5000  0.6993
Tb  0.8006  0.0000  0.6000
Tb  0.8010  0.5010  0.1002
Y  0.4001  0.9998  0.7994
Y  0.5999  0.0002  0.2006
Ho  0.0000  0.5000  0.5000